Wednesday, July 18, 2007

in my block i
'll want to write for
the capital f of macedonia
skopje skopje and skopje
The name of the city in
Macedonian is Скопје (Skopje), from Latin Skupi, the name of a pre-Greek people of the region who founded the city. The word Skupi which was the first name of the city means "hut" in Paeonian. During the Middle Ages, Skopje was often under the rule of the Bulgarian Empire; the Bulgarian rendition is Скопие (Skopie). The Turkish name of the city is Üsküb and it was known as Uskub or Uskup in most Western European languages during the period of Ottoman rule. The Serbian name for the city is Skoplje or Скопље; it was known as such in English during the time of the Kingdom of Yugoslavia.

Classical era
The site of modern Skopje has been inhabited since at least 3500 BC; remains of
Neolithic settlements have been found within the old Kale fortress that overlooks the modern city centre. The settlement appears to have been founded around the 3rd century BC by the Ancient Paionians, a tribe that inhabited north of Macedon.
Skupi came under
Roman rule after the general Quintus Caecilius Metellus defeated Andriscus of Macedon in 148 BC, being at first part of the Roman province of Macedonia, established in 146 BC. The northward expansion of the empire in the course of the 1st century BC lead to the creation of the province of Moesia in Augustus's times, into which Scupi was incorporated. After the division of the province by Domitian in 86 AD, Scupi was elevated to colony and became a seat of government within the new province of Moesia superior. From 395 AD, it passed into the hands of the Eastern Roman (or Byzantine) Empire.
The first known bishop of the city is
Perigorius, present at the Council of Sardica (343). Scupi was probably a metropolitan see about the middle of the 5th century (Latin: Archidioecesis Scopiensis).

Unrelated to this entry: materials data:
┌──
1.
# Cd4TeSe3 | Materials Project | PBE-GGA | optimized geometry
# **DFT total energy**: -2.74 eV/atom
# **Formation enthalpy at 0 K**: -0.748 eV/atom
# **Crystal system**: orthorhombic
data_Cd4TeSe3
_cell_length_a 4.469
_cell_length_b 8.961
_cell_length_c 6.268
_cell_angle_alpha 90.00
_cell_angle_beta 90.00
_cell_angle_gamma 90.00
_space_group_name_H-M_alt 'P 1'
_space_group_IT_number 1
_space_group_name_Hall 'P 1'
loop_
_atom_site_label
_atom_site_type_symbol
_atom_site_fract_x
_atom_site_fract_y
_atom_site_fract_z
Cd1 Cd 0.000 0.000 0.000
Cd2 Cd 0.000 0.500 0.027
Cd3 Cd 0.500 0.262 0.530
Cd4 Cd 0.500 0.738 0.530
Te1 Te 0.500 0.000 0.275
Se1 Se 0.000 0.257 0.772
Se2 Se 0.000 0.743 0.772
Se3 Se 0.500 0.500 0.270

2.
# Cd2TeSe | Materials Project | PBE-GGA | optimized geometry
# **DFT total energy**: -2.65 eV/atom
# **Formation enthalpy at 0 K**: -0.645 eV/atom
# **Relative energy among the computed polymorphs**: 0 meV/atom
# **Crystal system**: tetragonal
data_Cd2TeSe
_cell_length_a 4.545
_cell_length_b 4.545
_cell_length_c 6.394
_cell_angle_alpha 90.00
_cell_angle_beta 90.00
_cell_angle_gamma 90.00
_space_group_name_H-M_alt 'P 1'
_space_group_IT_number 1
_space_group_name_Hall 'P 1'
loop_
_atom_site_label
_atom_site_type_symbol
_atom_site_fract_x
_atom_site_fract_y
_atom_site_fract_z
Cd1 Cd 0.000 0.500 0.233
Cd2 Cd 0.500 0.000 0.767
Te1 Te 0.000 0.000 0.500
Se1 Se 0.500 0.500 0.000

3.
# Cd2TeSe | Materials Project | PBE-GGA | optimized geometry
# **DFT total energy**: -2.64 eV/atom
# **Formation enthalpy at 0 K**: -0.636 eV/atom
# **Relative energy among the computed polymorphs**: 9 meV/atom
# **Crystal system**: trigonal
data_Cd2TeSe
_cell_length_a 4.541
_cell_length_b 4.541
_cell_length_c 7.410
_cell_angle_alpha 90.00
_cell_angle_beta 90.00
_cell_angle_gamma 120.00
_space_group_name_H-M_alt 'P 1'
_space_group_IT_number 1
_space_group_name_Hall 'P 1'
loop_
_atom_site_label
_atom_site_type_symbol
_atom_site_fract_x
_atom_site_fract_y
_atom_site_fract_z
Cd1 Cd 0.000 0.000 0.000
Cd2 Cd 0.333 0.667 0.530
Te1 Te 0.333 0.667 0.141
Se1 Se 0.000 0.000 0.638

4.
# ZnCdTeSe | Materials Project | PBE-GGA | optimized geometry
# **DFT total energy**: -2.70 eV/atom
# **Formation enthalpy at 0 K**: -0.610 eV/atom
# **Relative energy among the computed polymorphs**: 0 meV/atom
# **Crystal system**: trigonal
data_ZnCdTeSe
_cell_length_a 7.641
_cell_length_b 7.641
_cell_length_c 7.641
_cell_angle_alpha 33.24
_cell_angle_beta 33.24
_cell_angle_gamma 33.24
_space_group_name_H-M_alt 'P 1'
_space_group_IT_number 1
_space_group_name_Hall 'P 1'
loop_
_atom_site_label
_atom_site_type_symbol
_atom_site_fract_x
_atom_site_fract_y
_atom_site_fract_z
Zn1 Zn 0.000 0.000 0.000
Cd1 Cd 0.488 0.488 0.488
Te1 Te 0.877 0.877 0.877
Se1 Se 0.365 0.365 0.365

5.
# ZnCdTeSe | Materials Project | PBE-GGA | optimized geometry
# **DFT total energy**: -2.69 eV/atom
# **Formation enthalpy at 0 K**: -0.607 eV/atom
# **Relative energy among the computed polymorphs**: 3 meV/atom
└──

Medieval era
The Byzantine Emperor
Justinian I was born near Skupi, at Tauresium, in 483. In 518, Skupi was almost completely destroyed by an earthquake. Justinian came to the aid of its inhabitants by founding a new settlement called Justiniana Prima north from the site of Skupi. However, Justiniana and the remnants of Skupi were destroyed by invading Slavic peoples at the end of the 7th century. The Slavs renamed the site as Skopje but were eventually pushed out by the Byzantines.
During much of the early medieval period, the town was contested between the Byzantines and the
Bulgarian Empire. From 972 to 992 it was the capital of the First Bulgarian Empire. After that, it was a capital of Byzantine administrative region (katepanat) Bulgaria after the fall the First Bulgarian Empire in 1018. Skopje was a thriving trading settlement but fell into decline after being hit by another devastating earthquake at the end of the 11th century. It was a capital of the estate of the Bulgarian feudal lord, later Emperor Konstantin Asen in the middle of 13th century. The town was conquered by the Serbs in 1282. In 1346 it was named the capital of the Serbian Empire of Stefan Dušan.

1392, three years after the Serbian defeat in the Battle of Kosovo in 1389, Skopje was captured by the Ottoman Empire. For the next five hundred years it was known by the Turkish name Üsküb or Üsküp. Ottoman Üsküb was the capital of the Vilayet of Kosovo (district of Kosovo), which occupied a much greater area than the modern region of Kosovo.
The city's character changed markedly during this period. The Ottomans imported
Islam and built many mosques and other typically Ottoman buildings, such as hammans (baths) and travellers' inns, some of which still exist today. Many Sephardi Jews expelled from Spain also settled in the city, adding to its ethnic variety. The medieval city was badly damaged by an earthquake in 1555, but it soon recovered and prospered. By the 17th century, its population was put at between 30,000-60,000. The Turkish writer Dulgar Dede visited Üsküb during this period and wrote: "I travelled for many years across that country of Rumelia and I saw a many beautiful cities and I was amazed at Allah's blessings, but not one impressed and delighted as much as the heavenly city of Skopje across which passes the Vardar River."
1689, however, Skopje was burned by the Austrian general Engelberto d'Ugo Piccolomini – ostensibly to eradicate an outbreak of cholera, but quite possibly to revenge the Ottomans' 1683 attack on Vienna.
The city's fortunes waned over the next 200 years and its population shrank to only about 10,000 people by the middle of the
19th century. It revived after 1873 with the building of the railway from Belgrade to Thessaloniki, which passed through Skopje.

In the 20th century
1905, Skopje had a population of approximately 32,000, which was comprised of a mixture of ethnic and religious groups. In 1910, the Roman Catholic nun Agnes Gonxha Bojaxhiu, later to become famous as Mother Teresa, was born in Skopje.
The city became a major centre of rebellion against the weakening Ottoman Empire, and in
1903 it was a key player in the unsuccessful Ilinden-Preobrazhenie Uprising against Ottoman rule. The Ottomans were expelled from the city in August 12, 1912 by the local Slavic population. Several months later the city was captured by the Serbs at the beginning of First Balkan War.

1913, the allies in the First Balkan War fell out with each other and launched the Second Balkan War over the division of the spoils. Serbia retained control of Skopje, with the Vardar valley being incorporated into Serbia. This lasted until October 1915, when Bulgaria joined the Central Powers and seized much of Serbian-ruled Macedonia. The city was occupied by Serbia at end of the World War I in 1918, when it became part of the Kingdom of the Serbs, Croats and Slovenes (known as the Kingdom of Yugoslavia from 1929). Between 1941 - 1944 the city was under Bulgarian control. One month after the communists took power in Sofia and the Bulgarian army was sent to fight the Germans to the west front, Skopje was seized by Yugoslavian troops, and then joined Yugoslavia in 1944, when it became the capital of the newly established People's Republic of Macedonia. Following the wars, Skopje and the rest of Yugoslav Macedonia was incorporated into Tito's Socialist Federal Republic of Yugoslavia.

26 July 1963, Skopje was struck by another major earthquake, measuring 6.1 on the Richter scale, which killed over 1,000 people and made another 120,000 homeless. Eighty percent of the city was destroyed by the earthquake, and numerous cultural monuments were seriously damaged. The losses from the quake amounted to a massive 150% of Macedonia's GNP at the time and 15% of Yugoslavia's GNP. A major international relief effort saw the city rebuilt quickly, though much of its old Ottoman aspect was lost in the process. The ruins of the old Skopje train station which was destroyed in the earthquake remain today as a memorial to the victims along with an adjacent museum.
Skopje grew rapidly druing united Yugoslavia and became a major
[citation needed] industrial centre for the south-central Balkans region. In 1991 the Yugoslav federation broke up and Skopje became the capital of the independent Republic of Macedonia. Greece objected to the use of the name Macedonia by the new state, and imposed an economic blockade on the country, which severely {fact} damaged the economy of the Republic of Macedonia by closing its access to the sea through Thessaloniki. The blockade was lifted in 1995 following an agreement between the two governments on the name issue which still hasn't been resolved.

The church of
Saint Panteleimon in Nerezi near Skopje is a superb example of the Comnenian art on the all-Byzantine level. Commissioned by several members of the royal Comnenus family, the church was not finished until 1164. Nerezi is famous for its frescoes, representing a pinnacle of the 12th-century trend of intimacy and spirituality. They are often compared with similarly delicate works by Giotto, who worked 140 years later. These murals underwent serious 19th-century overpainting but were restored lately.
A ancient Roman aqueduct survives to the north of the city. One of stone bridges connecting both side of Vardar River dates back to the reign of
Stefan Dušan. This bridge is not to be confused with the more famous Stone Bridge in the city square built under the patronage of Sultan Mehmed III the Conqueror between 1451 and 1469, today featured as the emblem of the city of Skopje. Within Skopje, there are notable buildings from the Ottoman rule such as the Kuršumli Han (medieval Turkish inn) and several mosques.
Of these mosques,
Mustapha Pasha's Mosque is undoubtedly one of the most beautiful buildings of Islamic architecture in Skopje. Located on a hill facing Fort Kale, this mosque dominates the whole surroundings and was built in the last decade of the 15th century when the military spahi system of Osmanli Turkish feudalism had reached the peak of its development. It is an endowment of Mustapha Pasha, an eminent figure in the Turkish state during the rule of Sultan Baiazid II and Sultan Selim I. The year of Mustapha Pasha's death is engraved on the entrance of his mausoluem, which is located by the mosque. It shows him to have died in 1519. The mausoleum and the mosque were both badly damaged in Skopje's 1963 earthquake, and restoration and conservation work was started in 1968. The interior of the mosque, like that of the porch, is mostly decorated with stylized plants. On the walls of the praying space are calligraphic inscriptions (lehve) with the names of Allah, Mohammed and his followers (Ebubekira, Ali, Osman and Omer) and quotations from the Qu'ran. The painted decorations are more recent, mainly from 1933 when the mosque was renovated. This can be seen from the intense blue and black color of the ornaments, which are often a confusing mass of color.
The Millennium Cross situated on the peak of the mountain Vodno is a new tourist attraction. The cross should be finished in July 2007. At 66 meters high, it is one of the biggest crosses in the world and can be seen from 30 km away.
Famous people born in Skopje
Below is a list of famous people born in Skopje or its surroundings:
Justinian the Great - Eastern Roman Emperor (482 - 566)
Mother Teresa - Roman Catholic Humanitarian (1910 - 1997)
Darko Pancev - European Cup Football Winner (1965 -)
Milčo Mančevski - Macedonian film director (1959 -)
Yahya Kemal Beyatlı - famous Turkish poet (1884 - 1958)


SanjaS said...

Well done!
That you for reminding us about the beauty of our Capital sity.
See you,

Burble said...

thank youuuuuuuu
for the you know what